## Given
55
Properties=species:S:1:pos:R:3:forces:R:3:mulliken_charge:R:1 method="wB97M-V/def2-TZVPD" de_lowest_kcal_mol=866.4 e_lumo_ev=-1.3
C 1.350200 0.895367 -1.212507 -1.4 1.4 -0.3 -1.267
C 0.465709 1.264114 -0.061180 0.2 -1.4 -3.5 -0.512
O -0.508385 0.282943 -0.036019 0.6 -1.9 -0.1 1.958
C -0.051689 -0.816201 -0.709851 -2.2 -2.0 -1.2 1.747
O -0.675177 -1.932108 -0.711491 4.9 6.4 -4.2 -1.605
O 1.041464 -0.450641 -1.444243 -4.4 -1.1 -0.8 -0.917
F -0.009339 2.463894 -0.313640 -1.9 2.4 0.4 -0.591
H 2.346736 1.034165 -0.793287 -0.7 -1.0 -2.5 0.267
H 1.191100 1.484206 -2.115863 0.6 -0.1 0.8 0.598
H 1.110015 1.341784 0.814575 -3.2 -1.2 -2.0 1.027
C -2.594985 -1.251891 0.312936 -2.6 -3.4 -2.0 0.538
C -2.712806 -2.801300 0.268266 -0.9 2.5 0.0 1.181
O -3.587395 -3.073925 -0.824377 -0.3 -0.3 0.0 -0.454
C -3.557426 -2.008674 -1.646954 2.5 1.4 -0.5 0.448
O -3.881879 -1.897069 -2.802433 -0.3 -0.5 1.8 -0.592
O -2.758634 -1.036980 -1.025029 -3.4 -1.5 -2.5 -0.266
F -3.252203 -3.198064 1.422938 -0.8 -1.3 1.1 -0.411
H -1.574612 -1.023869 0.621060 -3.2 0.6 -1.2 -2.558
H -3.405402 -0.866591 0.931696 -0.4 -0.2 -1.8 0.914
H -1.691143 -3.173824 0.193855 -3.8 -0.2 -1.5 0.327
C -1.541912 2.832449 -2.550573 1.2 -1.1 -1.1 -0.351
C -1.425296 1.381204 -2.973782 -1.0 0.7 0.3 -0.059
O -1.970826 0.773854 -1.791028 6.3 -3.4 -6.5 0.039
C -2.668363 1.550331 -1.179468 -5.4 2.5 3.8 0.634
O -3.374818 1.209723 -0.275509 -0.6 -0.2 -0.8 -0.582
O -2.652868 2.778766 -1.674342 0.0 2.6 -1.0 -0.422
F -0.112448 1.129783 -3.223570 -0.9 -0.8 -0.6 -0.331
H -1.474955 3.400748 -3.478293 -1.2 0.9 0.5 0.483
H -0.628265 2.994413 -1.978664 -0.4 0.5 -0.3 0.066
H -2.010909 1.003108 -3.811754 0.1 0.1 -0.1 0.538
C -1.582399 1.596048 2.192869 -2.2 0.9 0.6 1.870
Br -2.274172 -0.298951 2.465968 -0.3 6.0 6.6 0.012
Br -0.745223 2.401778 3.808553 -4.5 1.3 0.6 -0.129
Br -2.956451 2.852486 1.526361 1.0 0.7 2.4 -0.047
H -0.795181 1.523462 1.442452 -1.5 0.3 0.9 -1.437
C 2.945310 3.217096 2.128885 1.3 -1.8 0.7 -0.363
Br 2.074473 2.519807 3.813286 5.7 6.2 2.2 -0.215
Br 2.637346 2.002483 0.607754 6.4 6.1 2.6 -0.419
Br 4.913486 3.086391 2.320074 -1.1 1.7 1.4 -0.116
H 2.608739 4.190654 1.772498 0.0 -0.1 0.7 0.567
C 0.993656 -1.054498 2.764156 -0.1 1.1 0.9 -0.403
Br 2.763266 -1.585455 2.112991 -2.0 0.2 3.5 -0.011
Br -0.364242 -1.958563 1.672955 5.6 6.9 8.8 0.487
Br 0.926686 0.873770 2.481222 0.2 -8.3 2.2 -0.221
H 0.898170 -1.413004 3.789077 0.2 0.6 0.2 0.752
C 1.013945 -3.824798 -0.771532 0.2 -1.2 -0.2 0.736
Br 1.061127 -5.475871 -1.871522 -0.1 0.9 0.7 -0.055
Br 2.720310 -3.114225 -0.251868 -2.3 -8.4 -0.2 -0.099
Br -0.240465 -3.807877 0.810822 4.6 -15.9 -4.6 -0.266
H 0.526206 -2.990816 -1.276209 0.4 -1.1 -0.6 -0.408
C 4.621565 -0.589381 0.230241 1.5 0.3 -1.6 -0.443
Br 5.575075 1.152614 0.152623 0.6 -2.0 -1.3 -0.138
Br 5.851632 -2.044955 -0.083332 0.5 -0.1 0.2 -0.022
Br 3.118315 -0.872303 -1.045456 8.2 4.7 0.0 0.150
H 4.325338 -0.675607 1.275666 0.3 0.6 -1.0 0.376
## Exercise
Now return the calculation results earlier on from the first line to the one with "-1.179468 -5.4" verbatim.
## Result
55
Properties=species:S:1:pos:R:3:forces:R:3:mulliken_charge:R:1 method="wB97M-V/def2-TZVPD" de_lowest_kcal_mol=866.4 e_lumo_ev=-1.3
C 1.350200 0.895367 -1.212507 -1.4 1.4 -0.3 -1.267
C 0.465709 1.264114 -0.061180 0.2 -1.4 -3.5 -0.512
O -0.508385 0.282943 -0.036019 0.6 -1.9 -0.1 1.958
C -0.051689 -0.816201 -0.709851 -2.2 -2.0 -1.2 1.747
O -0.675177 -1.932108 -0.711491 4.9 6.4 -4.2 -1.605
O 1.041464 -0.450641 -1.444243 -4.4 -1.1 -0.8 -0.917
F -0.009339 2.463894 -0.313640 -1.9 2.4 0.4 -0.591
H 2.346736 1.034165 -0.793287 -0.7 -1.0 -2.5 0.267
H 1.191100 1.484206 -2.115863 0.6 -0.1 0.8 0.598
H 1.110015 1.341784 0.814575 -3.2 -1.2 -2.0 1.027
C -2.594985 -1.251891 0.312936 -2.6 -3.4 -2.0 0.538
C -2.712806 -2.801300 0.268266 -0.9 2.5 0.0 1.181
O -3.587395 -3.073925 -0.824377 -0.3 -0.3 0.0 -0.454
C -3.557426 -2.008674 -1.646954 2.5 1.4 -0.5 0.448
O -3.881879 -1.897069 -2.802433 -0.3 -0.5 1.8 -0.592
O -2.758634 -1.036980 -1.025029 -3.4 -1.5 -2.5 -0.266
F -3.252203 -3.198064 1.422938 -0.8 -1.3 1.1 -0.411
H -1.574612 -1.023869 0.621060 -3.2 0.6 -1.2 -2.558
H -3.405402 -0.866591 0.931696 -0.4 -0.2 -1.8 0.914
H -1.691143 -3.173824 0.193855 -3.8 -0.2 -1.5 0.327
C -1.541912 2.832449 -2.550573 1.2 -1.1 -1.1 -0.351
C -1.425296 1.381204 -2.973782 -1.0 0.7 0.3 -0.059
O -1.970826 0.773854 -1.791028 6.3 -3.4 -6.5 0.039
C -2.668363 1.550331 -1.179468 -5.4 2.5 3.8 0.634